Monday, May 15, 2006

'''
Record 1
Compound: TaCdO3
Source: Alexandria
Functional: PBE
Structure: relaxed

Cell and atoms, written as POSCAR:
```
TaCdO3
1.0
4.0505 0.0000 0.0000
0.0000 4.0505 0.0000
0.0000 0.0000 4.0505
Ta Cd O
1 1 3
Cartesian
0.0000 0.0000 0.0000
2.0253 2.0253 2.0253
0.0000 2.0253 2.0253
2.0253 0.0000 2.0253
2.0253 2.0253 0.0000
```

Calculated values
* size of the total moment: 0.00 μB per atom
* Fermi-level density of states: 8.29 states/eV/f.u.
* SG: Pm-3m, No. 221
* final energy: -25.9 eV per cell

---

Record 2
Compound: BaZr2Ru
Source: Alexandria
Functional: PBE
Structure: relaxed

Cell and atoms, written as POSCAR:
```
BaZr2Ru
1.0
3.4066 0.0000 0.0000
0.0000 4.2053 0.0000
-0.0188 0.0000 7.6783
Ba Zr Ru
1 2 1
Cartesian
0.0000 0.0000 0.0000
1.6345 2.1027 5.0115
3.3359 0.0000 3.3716
1.6428 2.1027 2.5756
```

Calculated values
* energy above the most stable polymorph in this dataset: 104 meV/atom
* size of the total moment: 0.00 μB per atom
* Fermi-level density of states: 3.85 states/eV/f.u.
* SG: Pm, No. 6
* final energy: -27.6 eV per cell
* energy relative to the elements: 0.18 eV per atom

---

Record 3
Compound: SmTm5Bi6
Source: Alexandria
Functional: PBE
Structure: relaxed

Cell and atoms, written as POSCAR:
```
SmTm5Bi6
1.0
3.8585 -6.6834 0.0000
3.8585 6.6834 0.0000
-2.5750 0.0000 7.2739
Sm Tm Bi
1 5 6
Cartesian
0.0000 0.0000 0.0000
2.5710 4.4927 3.6369
3.8585 2.2419 0.0000
2.5710 0.0000 3.6369
3.8585 -2.2419 0.0000
2.5710 -4.4927 3.6369
1.3068 2.2611 1.8472
0.0418 0.0000 5.4479
1.3068 -2.2611 1.8472
3.8352 2.2611 5.4267
5.1002 0.0000 1.8260
3.8352 -2.2611 5.4267
```

Calculated values
* size of the total moment: 0.00 μB per atom
* Fermi-level density of states: 2.15 states/eV/f.u.
* SG: C2/m, No. 12
* final energy: -60.0 eV per cell
* energy relative to the elements: -0.80 eV per atom

---

Record 4
Compound: SrY2MgC
Source: Alexandria
Functional: PBE
Structure: relaxed

Cell and atoms, written as POSCAR:
```
SrY2MgC
1.0
4.9454 0.0000 0.0000
0.0000 4.9454 0.0000
0.0000 0.0000 5.6266
Sr Y Mg C
1 2 1 1
'''
The piece goes on

Errors of fact

## Unrelated to this text: crystal structures
┌──
Entry from Alexandria: a relaxed CsSr2Pb2 crystal (PBE).

Output
The value obtained for the calculated total energy is -2.586 eV per atom. The space-group type is No. 139. For the energy above the lowest structure with this stoichiometry, the calculation gives 53.8 kJ/mol of formula units. The density of states at the Fermi level is 1.07 states/eV/atom. The formation energy from the elements comes out at -0.260 eV per atom.

Cell lengths 7.774, 7.774, 7.774 Å; angles 134.49, 134.49, 66.32 degrees
Fractional positions:
Pb  0.384  0.384  0.000
Pb  0.616  0.616  0.000
Sr  0.750  0.250  0.500
Sr  0.250  0.750  0.500
Cs  0.000  0.000  0.000

=====

The following is a DFT calculation (PBE) of MoRh after structural relaxation. Values from VASP.

ΔH_f (0 K)	0.564	eV per atom
Fermi-level density of states	7.906	states/eV/cell

The structure in Quantum ESPRESSO input format:
```
&SYSTEM
  ibrav = 0, nat = 8, ntyp = 2
/
ATOMIC_SPECIES
Mo 95.94 Mo.upf
Rh 102.91 Rh.upf
CELL_PARAMETERS angstrom
5.190 0.000 0.000
0.000 5.190 0.000
0.000 0.000 4.963
ATOMIC_POSITIONS angstrom
Mo 0.894 0.894 0.000
Mo 1.701 3.489 2.481
Mo 3.489 1.701 2.481
Mo 4.296 4.296 0.000
Rh 0.953 0.953 2.481
Rh 1.642 3.548 0.000
Rh 3.548 1.642 0.000
Rh 4.238 4.238 2.481
```
└──

I just got back from having dinner with my mother and my sister at a local Perkins restaurant. In the booth next to us four young adults argued good-naturedly amongst themselves about whether there are fifty-one or fifty-two states in the United States. Some of my friends will be pleased to know that I demonstrated remarkable restraint, held my tongue, and did not turn around and provide them with the correct answer. Others will be horrified to know that I let this group leave the restaurant believing that there are fifty-one states, with Puerto Rico slated to become the fifty-second. (The correct answer, as of this writing, is that there are only fifty states in the U.S.)

Random groups of twentysomethings I will let off the hook - their ignorance and misinformation will only lead to a slow decline and collapse of Western civilization. On the other hand, professors from Georgetown (a well-respected Jesuit university) who insist on making fools of themselves in public will get no such breaks from me.

I saw a "Comment and analysis" piece in the latest issue of New Scientist by Francis Slakey called "How to kick the habit". (This is a restricted-access article, so non-subscribers will only be able to access the first few paragraphs. Fortunately, someone has thoughtfully plagiarized the entire article - complete with errors - here.) According to the mini-bio at the end of the piece, "Francis Slakey is the Upjohn lecturer in physics and biology and co-director of the Program on Science in the Public Interest at Georgetown University, Washington DC." With credentials like that, any errors of fact incur my full wrath. And so I did something I have only ever done once before* - I wrote a letter to the editor of New Scientist:

I must note a few glaring errors made by Francis Slakey in his Comment and Analysis piece "How to kick the habit" ( New Scientist, 13 May 2006, page 21.) He states that Jimmy Carter "endorsed a 55 mph limit when upheaval in the Middle East led to a crisis in the 1970s." This may be technically true in the same sense that Jimmy Carter also endorsed a myriad of other already-existing laws and policies - since the national 55 mph highway speed limit was signed into law by Richard M. Nixon, who was President two places before Carter.

He goes on to say "The public groaned, and then kicked him out of office, along with the policy." While the first part of this statement is true, if overly simplistic, Carter served a full term in office. His unsuccessful re-election bid was the result a combination of factors unrelated to the national speed limit, including the ongoing Iranian hostage situation and an aggressive campaign by the charismatic Ronald Reagan. The national speed limit of 55 mph remained solidly in place for until 1986**, five years after Jimmy Carter left office, and remains in effect to this day on much of the U.S. highway system.
Slakey makes yet another error of historical fact: "President Carter achieved this in 1975 by passing a law..." This would have been difficult for President Carter to do in 1975, considering that he was not elected President until November 1976 and was not sworn in until January 1977. And to be pedantic about it, U.S. Presidents do not pass laws. That is the role of Congress.

For any academician to be so sloppy about the easily-verifiable facts of U.S. history is shameful. For these mistakes to be made by a Georgetown professor and co-director of the Program on Science in the Public Interest is even worse. Sadly, such errors only serve to undermine the credibility of his arguments.

Yeah. That'll show him. Better check your facts next time, buster. You've been warned.

*The only time I ever did this before was last week. So I may be turning into a letter-to-the-editor-of-New Scientist-writing crank.

**Sheesh. I wish I had proofread this better.


  1. I am very proud of the restraint you showed when you did not correct the peeps in Perkins, erm, I wish you would do the same with me. LOL!
    Also, I have yet another question from Ricky. "Is Mexico one of the States" (I believe the answer is no, but did not want to steer him wrong)

== Records of crystals, kept here for reference ==
(1)
A plane-wave DFT calculation with PBE-GGA was carried out for a relaxed MnInAu2 crystal. Values from VASP.

The structure in Quantum ESPRESSO input format:
```
&SYSTEM
  ibrav = 0, nat = 4, ntyp = 3
/
ATOMIC_SPECIES
Mn 54.94 Mn.upf
In 114.82 In.upf
Au 196.97 Au.upf
CELL_PARAMETERS angstrom
3.1521 -3.2646 0.0000
3.1521 3.2646 0.0000
0.0000 0.0000 3.5913
ATOMIC_POSITIONS crystal
Mn 0.0000 0.0000 0.0000
In 0.5000 0.5000 0.0000
Au 0.0000 0.5000 0.5000
Au 0.5000 0.0000 0.5000
```

## Properties
space-group type	Cmmm (65)
total magnetization	1.0342	μB per atom
crystal system	orthorhombic
energy of formation	-0.22	eV per formula unit
total DFT energy (no corrections)	-4.670	eV/atom



(2)
A plane-wave DFT calculation with PBE-GGA was carried out for a relaxed La2GaFeTe crystal. Values from VASP.

The structure in Quantum ESPRESSO input format:
```
&SYSTEM
  ibrav = 0, nat = 5, ntyp = 4
/
ATOMIC_SPECIES
La 138.91 La.upf
Ga 69.72 Ga.upf
Fe 55.84 Fe.upf
Te 127.60 Te.upf
CELL_PARAMETERS angstrom
5.2650 0.0000 0.0000
0.0000 5.2650 0.0000
0.0000 0.0000 4.6430
ATOMIC_POSITIONS crystal
La 0.0000 0.5000 0.0000
La 0.5000 0.0000 0.0000
Ga 0.0000 0.0000 0.5000
Fe 0.0000 0.0000 0.0000
Te 0.5000 0.5000 0.5000
```

## Properties
space-group type	P4/mmm (123)
formation energy from raw total energies	-69.7	kJ/mol of atoms
total magnetization	0.0000	μB per atom
crystal system	tetragonal
total DFT energy (no corrections)	-5.619	eV/atom



(3)
A plane-wave DFT calculation with PBE-GGA was carried out for a relaxed AcSmAlGa crystal. Values from VASP.

The structure in Quantum ESPRESSO input format:
```
&SYSTEM
  ibrav = 0, nat = 4, ntyp = 4
/
ATOMIC_SPECIES
Ac 227.00 Ac.upf
Sm 150.36 Sm.upf
Al 26.98 Al.upf
Ga 69.72 Ga.upf
CELL_PARAMETERS angstrom
0.0000 3.8164 3.8164
3.8164 0.0000 3.8164
3.8164 3.8164 0.0000
ATOMIC_POSITIONS crystal
Ac 0.0000 0.0000 0.0000
Sm 0.5000 0.5000 0.5000
Al 0.7500 0.7500 0.7500
Ga 0.2500 0.2500 0.2500
```

## Properties
space-group type	F-43m (216)
total magnetization	0.0000	μB per atom
crystal system	cubic
energy of formation	-1.45	eV per formula unit
total DFT energy (no corrections)	-4.261	eV/atom



(4)
A plane-wave DFT calculation with PBE-GGA was carried out for a relaxed Ac4TiSn8 crystal. Values from VASP.

The structure in Quantum ESPRESSO input format:
```
&SYSTEM
  ibrav = 0, nat = 13, ntyp = 3
/
ATOMIC_SPECIES
Ac 227.00 Ac.upf
Ti 47.87 Ti.upf
Sn 118.71 Sn.upf
CELL_PARAMETERS angstrom
4.6387 0.0000 0.0000
0.0000 4.8664 0.0000
0.0000 0.0000 18.2275
ATOMIC_POSITIONS crystal
Ac 0.0000 0.0000 0.0000
Ac 0.0000 0.5000 0.4887
Ac 0.5000 0.0000 0.7884
Ac 0.5000 0.5000 0.2870
Ti 0.0000 0.5000 0.7045
Sn 0.0000 0.0000 0.3327
Sn 0.0000 0.0000 0.6310
Sn 0.0000 0.5000 0.1375
Sn 0.0000 0.5000 0.8554
Sn 0.5000 0.0000 0.1481
Sn 0.5000 0.0000 0.4414
Sn 0.5000 0.5000 0.6259
Sn 0.5000 0.5000 0.9633
```

## Properties
space-group type	Pmm2 (25)
total magnetization	0.0412	μB per atom
crystal system	orthorhombic
energy of formation	-6.88	eV per formula unit
== So much for the records of crystals ==

  2. 51 or 52 states? Well, there are 57 varieties of Heinz ketchup, right? So there have to be 57 states.

    What you missed is they are referring to states of being. And while there are 50 political states, northern New Jersey and Southern New Jersey constitute different states of being, and ... oh never mind.

    I despair for the future. I don't suppose you'd have asked them to check the flag and count the stars.

    BTW, I really liked your letter about the G-Town professor.

    What is often ignored in our partisan bickering is that Carter was merely following an economic system that both parties bought into wholeheartedly -- a modified form of Keynesian (sp?) economics.

    While "history's greatest monster" may have had his faults, he was indeed not responsible for anything that happened in 1975 or really 1976.

    BTW, the 55 MPH speed limit used to be my big cause. I was in Congressman Jim Howard's district> Rep. Howard is the dickhead who suggested making the 55 MPH permanent after the 1973 oil crisis was resolved. (that is, Nixon wanted a temp speed limit, Howard put forward the bill to make it permanent, and it passed, and millions of people suffered.

    Once I got a call at home from Howard's re-election campaign.

    "Would you support Rep. Howard?"

    "Is he the congressman with the 55 MPH speed limit thing?"

    "Yes, Congressman ..."

    "Forget it. I wouldn't vote for him over Stalin." [Slam!]

    Bill at industrialblog
